Six weeks ago we completed our first video advocacy training in Mexico as part of our global campaign on Forced Evictions. The workshop took place in a charming convent in Mexico City and, for nine intense days, we and our partners at HIC worked with 11 activists/leaders from four local communities whose rights are either being compromised or violated by large-scale dams and other mega-development projects (see photos of the training here).
Since then, our partners have been hard at work starting the implementation of their Video Action Plans – identifying interviewees, devising shot lists, refining their strategy and messages, and reaching out to allies who can help with production and targeted distribution.
Yesterday, many of them took to the streets to mark the International Day of Action Against Dams and For Rivers, Water, Life. According to the MAPDER (Mexican Movement of Dam-Affected Communities and in Defense of Rivers), thousands of families are at risk eviction in Mexico due to the planned construction of more than 350 dams throughout the country.
Our partners in Guerrero state – where 25,000 people are at direct risk of losing their homes and lands to the construction of the La Parota Dam – used their new camera and editing skills to shoot a symbolic protest of children from the community. The video captures powerful testimony from 10-year-old Ramón, who asks how the community is expected to survive without their river and vows to fight to protect it. Watch below:
[Misplaced records of crystals]
- - -
[1]
A plane-wave DFT calculation with GGA-PBE was carried out for crystalline Ce3In2Ge3 at its relaxed geometry.

Unit cell a=6.1912 b=8.9137 c=8.9137 alpha=120.00 beta=90.00 gamma=90.00
Site moments in Bohr magnetons follow the coordinates.
Fractional positions:
Ge 0.7500 0.3437 0.3437  0.00
Ce 0.7500 0.0000 0.3258  0.60
In 0.0000 0.3333 0.6667  0.01
Ge 0.2500 0.3437 0.0000  0.00
Ce 0.2500 0.6742 0.0000  0.60
Ce 0.7500 0.3258 0.0000  0.60
Ge 0.2500 0.6563 0.6563  0.00
Ce 0.2500 0.0000 0.6742  0.60
Ge 0.7500 0.0000 0.6563  0.00
Ce 0.7500 0.6742 0.6742  0.60
In 0.5000 0.6667 0.3333  0.01
Ge 0.7500 0.6563 0.0000  0.00
In 0.0000 0.6667 0.3333  0.01
Ge 0.2500 0.0000 0.3437  0.00
In 0.5000 0.3333 0.6667  0.01
Ce 0.2500 0.3258 0.3258  0.60

## Properties
The calculation puts the energy relative to the elements at -0.44 eV per atom. Its electronic total energy is -5.08 eV per atom.



[2]
A plane-wave DFT calculation with GGA-PBE was carried out for crystalline Ce8In3Ge2 at its relaxed geometry.

Unit cell a=5.6680 b=9.3853 c=8.4660 alpha=123.66 beta=78.79 gamma=90.00
Site moments in Bohr magnetons follow the coordinates.
Fractional positions:
Ge 0.4191 0.2217 0.4434  -0.01
Ce 0.0557 0.8398 0.6796  0.31
Ce 0.5775 0.5644 0.7339  0.36
In 0.5000 0.0000 0.0000  0.01
Ce 0.9443 0.1602 0.3204  0.31
Ce 0.5775 0.1695 0.7339  0.36
Ce 0.9328 0.3532 0.7063  0.20
Ge 0.5809 0.7783 0.5566  -0.01
In 0.0000 0.7498 0.0000  0.00
Ce 0.0672 0.6468 0.2937  0.20
Ce 0.4225 0.4356 0.2661  0.36
In 0.0000 0.2502 0.0000  0.00
Ce 0.4225 0.8305 0.2661  0.36

## Properties
The calculation puts the energy relative to the elements at -0.26 eV per atom. Its electronic total energy is -5.25 eV per atom.



[3]
A plane-wave DFT calculation with GGA-PBE was carried out for crystalline Ce8InGe6 at its relaxed geometry.

Unit cell a=8.9005 b=8.9005 c=7.9569 alpha=55.99 beta=55.99 gamma=60.00
Site moments in Bohr magnetons follow the coordinates.
Fractional positions:
Ce 0.2163 0.8998 0.2829  0.70
Ce 0.3990 0.7837 0.7171  0.70
Ge 0.7254 0.4254 0.7833  -0.03
Ge 0.4254 0.0659 0.7833  -0.03
Ge 0.2746 0.5746 0.2167  -0.03
Ce 0.8998 0.6010 0.2829  0.70
In 0.0000 0.0000 0.0000  0.07
Ce 0.1002 0.3990 0.7171  0.70
Ce 0.7837 0.1002 0.7171  0.70
Ge 0.5746 0.9341 0.2167  -0.03
Ce 0.3364 0.3364 0.9909  0.84
Ge 0.0659 0.7254 0.7833  -0.03
Ce 0.6636 0.6636 0.0091  0.84
Ce 0.6010 0.2163 0.2829  0.70
Ge 0.9341 0.2746 0.2167  -0.03

## Properties
The calculation puts the energy relative to the elements at -0.51 eV per atom. Its electronic total energy is -5.70 eV per atom.



[4]
A plane-wave DFT calculation with GGA-PBE was carried out for crystalline Ce5In2Ge at its relaxed geometry.

Unit cell a=8.4416 b=8.4416 c=8.5521 alpha=119.57 beta=119.57 gamma=90.00
Site moments in Bohr magnetons follow the coordinates.
Fractional positions:
In 0.1277 0.3723 0.0000  0.00
Ce 0.8419 0.0011 0.3430  0.74
Ge 0.7500 0.7500 0.5000  -0.03
Ce 0.1581 0.9989 0.6570  0.74
Ge 0.2500 0.2500 0.5000  -0.03
- - -
[So much for the records of crystals]
Stay tuned for more updates on the campaigns in Mexico as they unfold and learn more about WITNESS’ campaign on Forced Evictions here.
These calculated crystals were left in the article by mistake
No. 1
# PBE La4RuN, optimized geometry
data_La4RuN
_chemical_formula_sum 'La8 Ru2 N2'
_cell_length_a 13.3087
_cell_length_b 3.9878
_cell_length_c 6.8887
_cell_angle_alpha 90.00
_cell_angle_beta 101.74
_cell_angle_gamma 90.00
_space_group_name_H-M_alt 'C 1 2/m 1'
_space_group_IT_number 12
_space_group_name_Hall '-C 2y'
loop_
_atom_site_label
_atom_site_type_symbol
_atom_site_fract_x
_atom_site_fract_y
_atom_site_fract_z
La1 La 0.1071 0.0000 0.3796
La2 La 0.1138 0.5000 0.8323
Ru1 Ru 0.0000 0.0000 0.0000
N1 N 0.0000 0.5000 0.5000
# D(E_F) in states/eV per atom: 0.963
# E_form (uncorrected) in eV/atom: -0.539

---

No. 2
# PBE LaRu3N, optimized geometry
data_LaRu3N
_chemical_formula_sum 'La1 Ru3 N1'
_cell_length_a 4.8599
_cell_length_b 4.8599
_cell_length_c 4.8599
_cell_angle_alpha 90.00
_cell_angle_beta 90.00
_cell_angle_gamma 90.00
_space_group_name_H-M_alt 'P m -3 m'
_space_group_IT_number 221
_space_group_name_Hall '-P 4 2 3'
loop_
_atom_site_label
_atom_site_type_symbol
_atom_site_fract_x
_atom_site_fract_y
_atom_site_fract_z
La1 La 0.0000 0.0000 0.0000
Ru1 Ru 0.0000 0.0000 0.5000
N1 N 0.5000 0.5000 0.5000
# D(E_F) in states/eV per atom: 0.951
# E_form (uncorrected) in eV/atom: 2.921
# Distance to the lowest polymorph of the same formula in eV/atom: 2.909

---

No. 3
# PBE LaRuN, optimized geometry
data_LaRuN
_chemical_formula_sum 'La4 Ru4 N4'
_cell_length_a 5.1787
_cell_length_b 9.1043
_cell_length_c 4.7829
_cell_angle_alpha 90.00
_cell_angle_beta 90.00
_cell_angle_gamma 90.00
_space_group_name_H-M_alt 'C m c m'
_space_group_IT_number 63
_space_group_name_Hall '-C 2c 2'
loop_
_atom_site_label
_atom_site_type_symbol
_atom_site_fract_x
_atom_site_fract_y
_atom_site_fract_z
La1 La 0.0000 0.1835 0.2500
Ru1 Ru 0.0000 0.5000 0.0000
N1 N 0.0000 0.3112 0.7500
# D(E_F) in states/eV per atom: 1.398
# E_form (uncorrected) in eV/atom: -0.521

----------

A plane-wave DFT calculation with PBE-GGA was carried out for a geometry-optimized BeAlCoRh structure.

abc: 4.0033 4.0033 4.0033
Facinating Article.
Belo Monte is only a small part of development-induced displacement in Amazon Region. The situation in Ecuador, Colombia and Peru is even worse. Bogumil Terminski estimates that forcible “development-induced displacement and resettlement” now affects 10 million people per year.
India is well ahead in this respect. A country with as many as over 3600 large dams within its belt can never be the exceptional case regarding displacement. The number of development induced displacement is higher than the conflict induced displacement worldwide.
## Misplaced records of crystals
____________
(1)
5
Lattice="-1.512 -5.353 0.256 2.107 -0.800 -4.281 4.779 -1.226 2.581" Properties=species:S:1:pos:R:3 comment="Na2InIrBr (PBE-GGA, relaxed)" density_g_cm3=4.79 sg="P4/mmm (123)" pbc="T T T"
In 2.687 -3.690 -0.722
Br 1.054 -0.400 -2.141
Ir 0.000 0.000 0.000
Na 2.390 -0.613 1.291
Na -0.756 -2.677 0.128

***

(2)
5
Lattice="-0.848 -5.140 0.650 2.542 0.161 4.591 -4.505 1.054 2.458" Properties=species:S:1:pos:R:3 comment="In2IrPbBr (PBE-GGA, relaxed)" density_g_cm3=8.15 sg="P4/mmm (123)" pbc="T T T"
Br -1.406 -1.963 3.849
Pb -2.253 0.527 1.229
In -0.424 -2.570 0.325
In 1.271 0.080 2.295
Ir 0.000 0.000 0.000

***

(3)
12
Lattice="-0.203 -1.960 3.717 -7.270 -4.943 -3.005 8.460 -4.222 -4.144" Properties=species:S:1:pos:R:3 comment="Pr6InIr2Br3 (PBE-GGA, relaxed)" density_g_cm3=6.98 sg="C2/m (12)" pbc="T T T"
Pr -1.510 -1.557 -0.904
Pr 2.498 -9.569 -2.529
Pr -0.701 -7.788 -4.146
Pr 2.139 -5.455 -2.760
Pr -1.152 -5.671 -0.673
Pr 1.688 -3.337 0.713
In -0.102 -0.980 1.858
Ir 0.336 -3.468 -1.810
Ir 0.651 -7.658 -1.622
Br 4.342 -5.227 -0.138
Br -3.355 -5.898 -3.294
Br -3.737 -3.452 0.356

***

(4)
10
Lattice="-6.308 4.659 -0.523 -4.450 -5.676 3.122 -4.338 1.471 6.381" Properties=species:S:1:pos:R:3 comment="Rb2InIrBr6 (PBE-GGA, relaxed)" density_g_cm3=4.64 sg="I4/mmm (139)" pbc="T T T"
Br -5.885 2.308 0.306
Br -4.873 -3.325 2.293
Br -2.447 -0.231 0.591
Br -4.812 0.569 4.067
Br -8.311 -0.786 2.008
Br -10.284 -0.115 4.914
Rb -7.084 -2.357 5.401
Rb -8.013 2.810 3.579
In -5.379 -0.508 1.300
Ir 0.000 0.000 0.000

***

(5)
5
Lattice="4.787 0.000 0.000 0.000 6.118 0.000 0.000 0.000 4.787" Properties=species:S:1:pos:R:3 comment="InIrSBr2 (PBE-GGA, relaxed)" density_g_cm3=5.91 sg="P4/mmm (123)" pbc="T T T"
Br 0.000 0.000 2.393
Br 2.393 0.000 0.000
Ir 2.393 3.059 2.393
In 0.000 3.059 0.000
S 0.000 0.000 0.000

***

(6)
5
Lattice="5.275 0.000 0.000 0.000 5.275 0.000 0.000 0.000 5.496" Properties=species:S:1:pos:R:3 comment="InIrSeBr2 (PBE-GGA, relaxed)" density_g_cm3=5.93 sg="P4/mmm (123)" polymorph_energy_mev_per_atom=993 pbc="T T T"
Br 2.638 0.000 0.000
Br 0.000 2.638 0.000
Se 0.000 0.000 2.748
Ir 2.638 2.638 2.748
In 0.000 0.000 0.000

***

no.,formation energy without anion corrections (eV/f.u.),volume (Å³ per cell)
1,1.85,150
2,-1.72,144
3,-11.67,377
4,-9.27,343
5,5.49,140
6,4.96,153
____________
## Back to the piece
Athough the exact number of development-induced displaced people (DIDPs) is difficult to know, estimates are that in the last decade 90–100 million people have been displaced by urban, irrigation and power projects alone, with the number of people displaced by urban development becoming greater than those displaced by large infrastructure projects (such as dams). DIDPs outnumber refugees, with the added problem that their plight is often more concealed.
This is what experts have termed “development-induced displacement.” According to Michael Cernea, a World Bank analyst, the causes of development-induced displacement include water supply (dams, reservoirs, irrigation); urban infrastructure; transportation (roads, highways, canals); energy (mining, power plants, oil exploration and extraction, pipelines); agricultural expansion; parks and forest reserves; and population redistribution schemes.